Activity =
What is needed: work out how many lines underneath have the word "and" in them; a number is enough.

Contents =
........
# 1
The following is a DFT calculation (PBE-GGA) of Pm12GaCo7 after structural relaxation.

Output
calculated density: 7.26 g/cm³
formation enthalpy at 0 K: -9.3 kJ/mol of atoms

Cell lengths 8.7714, 8.7714, 8.7714 Å; angles 110.03, 110.03, 110.03 degrees
Atoms (fractional coordinates):
Pm 0.1082 0.6572 0.2536
Pm 0.1160 0.3186 0.4014
Pm 0.2536 0.1082 0.6572
Pm 0.3186 0.4013 0.1160
Pm 0.3428 0.7464 0.8918
Pm 0.4013 0.1160 0.3186
Pm 0.5986 0.8840 0.6814
Pm 0.6572 0.2536 0.1082
Pm 0.6814 0.5986 0.8840
Pm 0.7464 0.8918 0.3428
Pm 0.8840 0.6814 0.5987
Pm 0.8918 0.3428 0.7464
Ga 0.0000 0.0000 0.0000
Co 0.0295 0.9335 0.2578
Co 0.0665 0.7422 0.9705
Co 0.2578 0.0295 0.9335
Co 0.5000 0.5000 0.5000
Co 0.7422 0.9705 0.0665
Co 0.9335 0.2578 0.0295
Co 0.9705 0.0665 0.7422

=====

# 2
The following is a DFT calculation (PBE-GGA) of CaLuMg after structural relaxation.

Output
calculated density: 4.38 g/cm³
distance to the lowest polymorph of the same formula: 0.079 eV/atom
formation enthalpy at 0 K: 10.6 kJ/mol of atoms

Cell lengths 5.5847, 5.5847, 3.3574 Å; angles 90.00, 90.00, 120.00 degrees
Atoms (fractional coordinates):
Ca 0.0000 0.0000 0.0000
Lu 0.3333 0.6667 0.6249
Mg 0.6667 0.3333 0.2719

=====

1.
A plane-wave DFT calculation with PBE was carried out for an optimized crystal structure of TlTeMo2.

Cell: 5.5357 5.5357 5.5357 Å, 145.59 121.30 69.85°
Closest atoms and distances in Å follow each position.
Fractional coordinates of all 4 atoms:
1 Tl 0.0000 0.0000 0.0000  4 Mo 2.92, 4 Te 3.17
2 Te 0.5000 0.5000 0.0000  4 Mo 2.68
3 Mo 0.2667 0.7667 0.5000  2 Te 2.68, 2 Tl 2.92
4 Mo 0.7333 0.2333 0.5000  2 Te 2.68, 2 Tl 2.92

## Properties
Theoretical density: 10.78 g cm⁻³
Polymorph energy (0 for the lowest one): 578.6 meV/atom
E_form (uncorrected): 83.3 kJ/mol of atoms

***

2.
A plane-wave DFT calculation with PBE was carried out for an optimized crystal structure of TlTeMo2.

Cell: 3.0503 3.0503 10.4718 Å, 90.00 90.00 112.44°
Closest atoms and distances in Å follow each position.
Fractional coordinates of all 4 atoms:
1 Tl 0.0000 0.0000 0.0000  6 Tl 3.05-3.39, 2 Mo 3.14
2 Te 0.5000 0.5000 0.3437  2 Mo 2.92, 4 Te 3.05
3 Mo 0.0000 0.0000 0.5702  2 Mo 2.52
4 Mo 0.5000 0.5000 0.7476  2 Mo 2.52

## Properties
Theoretical density: 9.66 g cm⁻³
Polymorph energy (0 for the lowest one): 176.5 meV/atom
E_form (uncorrected): 44.5 kJ/mol of atoms

***

3.
A plane-wave DFT calculation with PBE was carried out for an optimized crystal structure of TlTeMo2.

Cell: 9.0478 9.0478 9.0478 Å, 20.24 20.24 20.24°
Closest atoms and distances in Å follow each position.
Fractional coordinates of all 4 atoms:
1 Tl 0.0000 0.0000 0.0000  6 Mo 2.98, 6 Tl 3.18
2 Te 0.5000 0.5000 0.5000  6 Mo 2.78
3 Mo 0.2451 0.2451 0.2451  3 Te 2.78, 3 Tl 2.98
4 Mo 0.7549 0.7549 0.7549  3 Te 2.78, 3 Tl 2.98

## Properties
Theoretical density: 11.21 g cm⁻³
Polymorph energy (0 for the lowest one): 368.8 meV/atom
E_form (uncorrected): 63.0 kJ/mol of atoms

***

4.
A plane-wave DFT calculation with PBE was carried out for an optimized crystal structure of TlTe2Mo.

Cell: 3.7895 4.5408 8.0122 Å, 90.00 103.55 90.00°
Closest atoms and distances in Å follow each position.
Fractional coordinates of all 4 atoms:
1 Tl 0.0000 0.0000 0.0000  6 Te 3.41-3.53, 2 Tl 3.79
2 Te 0.3926 0.5000 0.7832  2 Mo 2.66
3 Te 0.6905 0.0000 0.3827  2 Mo 2.60
4 Mo 0.7744 0.5000 0.5443  4 Te 2.60-2.66

## Properties
Theoretical density: 6.88 g cm⁻³
E_form (uncorrected): 22.2 kJ/mol of atoms

***

5.
A plane-wave DFT calculation with PBE was carried out for an optimized crystal structure of Tl2TeMo.

Cell: 11.9875 11.9875 11.9875 Å, 15.04 15.04 15.04°
Closest atoms and distances in Å follow each position.
Fractional coordinates of all 4 atoms:
1 Tl 0.2362 0.2362 0.2362  3 Mo 3.06, 6 Tl 3.14
2 Tl 0.7638 0.7638 0.7638  3 Mo 3.06, 6 Tl 3.14
3 Te 0.0000 0.0000 0.0000  6 Te 3.14
4 Mo 0.5000 0.5000 0.5000  6 Tl 3.06, 6 Mo 3.14

## Properties
Theoretical density: 10.39 g cm⁻³
........

Result =
5